'''
#A
Computed, not measured: crystalline HgH2C6N2Cl4 at its relaxed geometry at the PBE-GGA level of DFT.

Computed properties:
Total magnetic moment in μB per cell: 0.012

```
data_HgH2C6N2Cl4
_cell_length_a 10.978
_cell_length_b 6.609
_cell_length_c 20.969
_cell_angle_alpha 79.19
_cell_angle_beta 90.00
_cell_angle_gamma 90.00
_space_group_name_H-M_alt 'P 1'
_space_group_IT_number 1
loop_
_space_group_symop_operation_xyz
'x,y,z'
loop_
_atom_site_label
_atom_site_fract_x
_atom_site_fract_y
_atom_site_fract_z
_atom_site_occupancy
Hg1 0.266 0.123 0.169 1
Hg2 0.734 0.877 0.831 1
Hg3 0.766 0.877 0.331 1
Hg4 0.234 0.123 0.669 1
C1 0.948 0.581 0.672 1
C2 0.976 0.555 0.733 1
C3 0.263 0.565 0.444 1
C4 0.476 0.445 0.767 1
C5 0.759 0.006 0.551 1
C6 0.741 0.006 0.051 1
C7 0.752 0.208 0.043 1
C8 0.555 0.539 0.654 1
C9 0.945 0.539 0.154 1
C10 0.052 0.419 0.328 1
C11 0.259 0.994 0.949 1
C12 0.448 0.419 0.828 1
C13 0.055 0.461 0.846 1
C14 0.524 0.555 0.233 1
C15 0.237 0.565 0.944 1
C16 0.737 0.435 0.556 1
C17 0.024 0.445 0.267 1
C18 0.252 0.792 0.457 1
C19 0.763 0.435 0.056 1
C20 0.748 0.208 0.543 1
C21 0.241 0.994 0.449 1
C22 0.248 0.792 0.957 1
C23 0.552 0.581 0.172 1
C24 0.445 0.461 0.346 1
H1 0.849 0.389 0.834 1
H2 0.651 0.389 0.334 1
H3 0.735 0.441 0.950 1
H4 0.349 0.611 0.666 1
H5 0.235 0.559 0.550 1
H6 0.265 0.559 0.050 1
H7 0.765 0.441 0.450 1
H8 0.151 0.611 0.166 1
Cl1 0.076 0.209 0.088 1
Cl2 0.703 0.947 0.221 1
Cl3 0.576 0.791 0.412 1
Cl4 0.297 0.053 0.779 1
Cl5 0.732 0.367 0.842 1
Cl6 0.403 0.193 0.080 1
Cl7 0.424 0.209 0.588 1
Cl8 0.924 0.791 0.912 1
Cl9 0.097 0.193 0.580 1
Cl10 0.597 0.807 0.920 1
Cl11 0.232 0.633 0.658 1
Cl12 0.768 0.367 0.342 1
Cl13 0.903 0.807 0.420 1
Cl14 0.797 0.947 0.721 1
Cl15 0.268 0.633 0.158 1
Cl16 0.203 0.053 0.279 1
N1 0.252 0.606 0.001 1
N2 0.479 0.500 0.290 1
N3 0.979 0.500 0.210 1
N4 0.521 0.500 0.710 1
N5 0.752 0.394 0.499 1
N6 0.248 0.606 0.501 1
N7 0.021 0.500 0.790 1
N8 0.748 0.394 0.999 1
```

***

#B
Computed, not measured: crystalline HgH2C6N2Cl4 at its relaxed geometry at the PBE-GGA level of DFT.

Computed properties:
Total magnetic moment in μB per cell: 0.001

```
data_HgH2C6N2Cl4
_cell_length_a 13.791
_cell_length_b 6.739
_cell_length_c 16.428
_cell_angle_alpha 87.39
_cell_angle_beta 90.00
_cell_angle_gamma 90.00
_space_group_name_H-M_alt 'P 1'
_space_group_IT_number 1
loop_
_space_group_symop_operation_xyz
'x,y,z'
loop_
_atom_site_label
_atom_site_fract_x
_atom_site_fract_y
_atom_site_fract_z
_atom_site_occupancy
H1 0.733 0.589 0.044 1
H2 0.233 0.411 0.456 1
H3 0.423 0.538 0.320 1
H4 0.267 0.411 0.956 1
H5 0.577 0.462 0.680 1
H6 0.077 0.538 0.820 1
H7 0.767 0.589 0.544 1
H8 0.923 0.462 0.180 1
Cl1 0.681 0.053 0.832 1
Cl2 0.579 0.159 0.105 1
Cl3 0.293 0.357 0.793 1
Cl4 0.087 0.839 0.886 1
Cl5 0.587 0.161 0.614 1
Cl6 0.707 0.643 0.207 1
Cl7 0.207 0.357 0.293 1
Cl8 0.421 0.841 0.895 1
Cl9 0.913 0.161 0.114 1
Cl10 0.819 0.053 0.332 1
Cl11 0.413 0.839 0.386 1
Cl12 0.921 0.159 0.605 1
Cl13 0.181 0.947 0.668 1
Cl14 0.793 0.643 0.707 1
Cl15 0.079 0.841 0.395 1
Cl16 0.319 0.947 0.168 1
C1 0.283 0.122 0.099 1
C2 0.940 0.432 0.799 1
C3 0.253 0.136 0.520 1
C4 0.403 0.424 0.757 1
C5 0.560 0.432 0.299 1
C6 0.753 0.864 0.980 1
C7 0.003 0.459 0.285 1
C8 0.503 0.541 0.215 1
C9 0.813 0.688 0.429 1
C10 0.597 0.576 0.243 1
C11 0.997 0.541 0.715 1
C12 0.497 0.459 0.785 1
C13 0.060 0.568 0.201 1
C14 0.687 0.688 0.929 1
C15 0.313 0.312 0.071 1
C16 0.217 0.122 0.599 1
C17 0.783 0.878 0.401 1
C18 0.903 0.576 0.743 1
C19 0.097 0.424 0.257 1
C20 0.440 0.568 0.701 1
C21 0.187 0.312 0.571 1
C22 0.717 0.878 0.901 1
C23 0.247 0.136 0.020 1
C24 0.747 0.864 0.480 1
Hg1 0.746 0.095 0.085 1
Hg2 0.254 0.905 0.915 1
Hg3 0.246 0.905 0.415 1
Hg4 0.754 0.095 0.585 1
N1 0.740 0.648 0.490 1
N2 0.458 0.439 0.283 1
N3 0.958 0.561 0.217 1
N4 0.240 0.352 0.010 1
N5 0.042 0.439 0.783 1
N6 0.260 0.352 0.510 1
N7 0.760 0.648 0.990 1
N8 0.542 0.561 0.717 1
```

***
'''
Could you return the lines earlier on up to the one that holds "C17 0.024", that line included?
#A
Computed, not measured: crystalline HgH2C6N2Cl4 at its relaxed geometry at the PBE-GGA level of DFT.

Computed properties:
Total magnetic moment in μB per cell: 0.012

```
data_HgH2C6N2Cl4
_cell_length_a 10.978
_cell_length_b 6.609
_cell_length_c 20.969
_cell_angle_alpha 79.19
_cell_angle_beta 90.00
_cell_angle_gamma 90.00
_space_group_name_H-M_alt 'P 1'
_space_group_IT_number 1
loop_
_space_group_symop_operation_xyz
'x,y,z'
loop_
_atom_site_label
_atom_site_fract_x
_atom_site_fract_y
_atom_site_fract_z
_atom_site_occupancy
Hg1 0.266 0.123 0.169 1
Hg2 0.734 0.877 0.831 1
Hg3 0.766 0.877 0.331 1
Hg4 0.234 0.123 0.669 1
C1 0.948 0.581 0.672 1
C2 0.976 0.555 0.733 1
C3 0.263 0.565 0.444 1
C4 0.476 0.445 0.767 1
C5 0.759 0.006 0.551 1
C6 0.741 0.006 0.051 1
C7 0.752 0.208 0.043 1
C8 0.555 0.539 0.654 1
C9 0.945 0.539 0.154 1
C10 0.052 0.419 0.328 1
C11 0.259 0.994 0.949 1
C12 0.448 0.419 0.828 1
C13 0.055 0.461 0.846 1
C14 0.524 0.555 0.233 1
C15 0.237 0.565 0.944 1
C16 0.737 0.435 0.556 1
C17 0.024 0.445 0.267 1